(Job)
Write out all of the calculation results further below character by character.

(Listing)
+++
For Rb3ThS4, a structure optimized by DFT (PBE) gives the theoretical powder diffraction line list in this record (copper Kα).

Top 10 peaks for 10° ≤ 2θ ≤ 90°, by angle:
hkl 1 1 0, 11.49°, I 639; hkl 2 2 0, 23.10°, I 580; hkl 0 2 1, 24.55°, I 462; hkl 0 4 0, 27.01°, I 510; hkl 2 0 1, 27.87°, I 1000; hkl 4 0 0, 37.96°, I 190; hkl 2 4 1, 39.20°, I 704; hkl 4 2 1, 45.73°, I 241; hkl 0 4 2, 50.32°, I 214; hkl 2 8 1, 63.36°, I 236

```
data_Rb3ThS4
_space_group_name_H-M_alt 'C m m m'
_space_group_IT_number 65
_space_group_name_Hall '-C 2 2'
_cell_length_a 9.4815
_cell_length_b 13.2062
_cell_length_c 4.3389
_cell_angle_alpha 90.00
_cell_angle_beta 90.00
_cell_angle_gamma 90.00
loop_
_atom_site_label
_atom_site_type_symbol
_atom_site_fract_x
_atom_site_fract_y
_atom_site_fract_z
Rb1 Rb 0.0000 0.0000 0.0000
Rb2 Rb 0.2500 0.2500 0.5000
Th1 Th 0.0000 0.5000 0.0000
S1 S 0.0000 0.2908 0.0000
S2 S 0.1970 0.5000 0.5000
```

For MnNb4S8, a structure optimized by DFT (PBE) gives the theoretical powder diffraction line list in this record (copper Kα).

Top 10 peaks for 10° ≤ 2θ ≤ 90°, by angle:
hkl 0 0 1, 14.83°, I 1000; hkl 1 1 -1, 16.74°, I 162; hkl 2 2 -1, 30.00°, I 311; hkl 4 0 -1, 33.54°, I 390; hkl 2 2 -2, 33.84°, I 783; hkl 2 2 1, 42.50°, I 618; hkl 2 2 -3, 43.24°, I 338; hkl 4 0 -4, 43.87°, I 226; hkl 6 2 -3, 53.76°, I 278; hkl 2 2 2, 55.07°, I 148

```
data_MnNb4S8
_space_group_name_H-M_alt 'C 1 2/m 1'
_space_group_IT_number 12
_space_group_name_Hall '-C 2y'
_cell_length_a 11.7712
_cell_length_b 6.9069
_cell_length_c 8.2554
_cell_angle_alpha 90.00
_cell_angle_beta 133.65
_cell_angle_gamma 90.00
loop_
_atom_site_label
_atom_site_type_symbol
_atom_site_fract_x
_atom_site_fract_y
_atom_site_fract_z
Mn1 Mn 0.0000 0.0000 0.0000
Nb1 Nb 0.0000 0.2897 0.5000
Nb2 Nb 0.2318 0.5000 0.4915
S1 S 0.0275 0.0000 0.7267
S2 S 0.0551 0.5000 0.7868
S3 S 0.2076 0.2503 0.2404
```

For Ac2H2SeI, a structure optimized by DFT (PBE) gives the theoretical powder diffraction line list in this record (copper Kα).

Top 10 peaks for 10° ≤ 2θ ≤ 90°, by angle:
hkl 1 0 1, 25.90°, I 1000; hkl 0 1 2, 30.89°, I 862; hkl 1 0 3, 37.90°, I 233; hkl 1 1 0, 42.25°, I 402; hkl 1 0 4, 46.17°, I 159; hkl 0 2 1, 50.22°, I 172; hkl 2 0 2, 53.25°, I 188; hkl 1 1 4, 58.72°, I 149; hkl 2 1 1, 67.67°, I 144; hkl 1 2 2, 70.21°, I 165

```
data_Ac2H2SeI
_space_group_name_H-M_alt 'P -3 m 1'
_space_group_IT_number 164
_space_group_name_Hall '-P 3 2"'
_cell_length_a 4.2780
_cell_length_b 4.2780
_cell_length_c 9.2780
_cell_angle_alpha 90.00
_cell_angle_beta 90.00
_cell_angle_gamma 120.00
loop_
_atom_site_label
_atom_site_type_symbol
_atom_site_fract_x
_atom_site_fract_y
_atom_site_fract_z
Ac1 Ac 0.3333 0.6667 0.2111
H1 H 0.3333 0.6667 0.7549
Se1 Se 0.0000 0.0000 0.0000
I1 I 0.0000 0.0000 0.5000
```

For Dy4Er2Se9, a structure optimized by DFT (PBE) gives the theoretical powder diffraction line list in this record (copper Kα).

Top 10 peaks for 10° ≤ 2θ ≤ 90°, by angle:
hkl 1 1 2, 16.93°, I 422; hkl 1 1 -4, 23.23°, I 557; hkl 2 1 0, 24.81°, I 402; hkl 2 1 3, 28.43°, I 549; hkl 0 2 -4, 34.25°, I 353; hkl 1 2 6, 37.40°, I 1000; hkl 3 1 4, 42.75°, I 324; hkl 3 3 0, 43.68°, I 610; hkl 2 4 6, 58.83°, I 257; hkl 4 5 6, 76.07°, I 222

```
data_Dy4Er2Se9
_space_group_name_H-M_alt 'P -1'
_space_group_IT_number 2
_space_group_name_Hall '-P 1'
_cell_length_a 7.1763
_cell_length_b 7.1780
_cell_length_c 19.4363
_cell_angle_alpha 89.99
_cell_angle_beta 89.98
_cell_angle_gamma 60.03
loop_
_atom_site_label
_atom_site_type_symbol
_atom_site_fract_x
_atom_site_fract_y
_atom_site_fract_z
Dy1 Dy 0.1657 0.1669 0.1809
Dy2 Dy 0.1662 0.1667 0.9854
Dy3 Dy 0.1670 0.1665 0.4850
Dy4 Dy 0.1677 0.1663 0.6811
Er1 Er 0.4989 0.5014 0.1530
Er2 Er 0.4998 0.4990 0.3473
Se1 Se 0.1403 0.5293 0.4167
Se2 Se 0.1424 0.8296 0.9166
Se3 Se 0.1692 0.4721 0.0834
Se4 Se 0.1699 0.8594 0.5833
Se5 Se 0.1962 0.8041 0.2503
Se6 Se 0.1968 0.5002 0.7499
Se7 Se 0.4708 0.1713 0.5831
Se8 Se 0.4712 0.8591 0.0831
Se9 Se 0.4989 0.1967 0.2499
```
+++

(Solution)
For Rb3ThS4, a structure optimized by DFT (PBE) gives the theoretical powder diffraction line list in this record (copper Kα).

Top 10 peaks for 10° ≤ 2θ ≤ 90°, by angle:
hkl 1 1 0, 11.49°, I 639; hkl 2 2 0, 23.10°, I 580; hkl 0 2 1, 24.55°, I 462; hkl 0 4 0, 27.01°, I 510; hkl 2 0 1, 27.87°, I 1000; hkl 4 0 0, 37.96°, I 190; hkl 2 4 1, 39.20°, I 704; hkl 4 2 1, 45.73°, I 241; hkl 0 4 2, 50.32°, I 214; hkl 2 8 1, 63.36°, I 236

```
data_Rb3ThS4
_space_group_name_H-M_alt 'C m m m'
_space_group_IT_number 65
_space_group_name_Hall '-C 2 2'
_cell_length_a 9.4815
_cell_length_b 13.2062
_cell_length_c 4.3389
_cell_angle_alpha 90.00
_cell_angle_beta 90.00
_cell_angle_gamma 90.00
loop_
_atom_site_label
_atom_site_type_symbol
_atom_site_fract_x
_atom_site_fract_y
_atom_site_fract_z
Rb1 Rb 0.0000 0.0000 0.0000
Rb2 Rb 0.2500 0.2500 0.5000
Th1 Th 0.0000 0.5000 0.0000
S1 S 0.0000 0.2908 0.0000
S2 S 0.1970 0.5000 0.5000
```

For MnNb4S8, a structure optimized by DFT (PBE) gives the theoretical powder diffraction line list in this record (copper Kα).

Top 10 peaks for 10° ≤ 2θ ≤ 90°, by angle:
hkl 0 0 1, 14.83°, I 1000; hkl 1 1 -1, 16.74°, I 162; hkl 2 2 -1, 30.00°, I 311; hkl 4 0 -1, 33.54°, I 390; hkl 2 2 -2, 33.84°, I 783; hkl 2 2 1, 42.50°, I 618; hkl 2 2 -3, 43.24°, I 338; hkl 4 0 -4, 43.87°, I 226; hkl 6 2 -3, 53.76°, I 278; hkl 2 2 2, 55.07°, I 148

```
data_MnNb4S8
_space_group_name_H-M_alt 'C 1 2/m 1'
_space_group_IT_number 12
_space_group_name_Hall '-C 2y'
_cell_length_a 11.7712
_cell_length_b 6.9069
_cell_length_c 8.2554
_cell_angle_alpha 90.00
_cell_angle_beta 133.65
_cell_angle_gamma 90.00
loop_
_atom_site_label
_atom_site_type_symbol
_atom_site_fract_x
_atom_site_fract_y
_atom_site_fract_z
Mn1 Mn 0.0000 0.0000 0.0000
Nb1 Nb 0.0000 0.2897 0.5000
Nb2 Nb 0.2318 0.5000 0.4915
S1 S 0.0275 0.0000 0.7267
S2 S 0.0551 0.5000 0.7868
S3 S 0.2076 0.2503 0.2404
```

For Ac2H2SeI, a structure optimized by DFT (PBE) gives the theoretical powder diffraction line list in this record (copper Kα).

Top 10 peaks for 10° ≤ 2θ ≤ 90°, by angle:
hkl 1 0 1, 25.90°, I 1000; hkl 0 1 2, 30.89°, I 862; hkl 1 0 3, 37.90°, I 233; hkl 1 1 0, 42.25°, I 402; hkl 1 0 4, 46.17°, I 159; hkl 0 2 1, 50.22°, I 172; hkl 2 0 2, 53.25°, I 188; hkl 1 1 4, 58.72°, I 149; hkl 2 1 1, 67.67°, I 144; hkl 1 2 2, 70.21°, I 165

```
data_Ac2H2SeI
_space_group_name_H-M_alt 'P -3 m 1'
_space_group_IT_number 164
_space_group_name_Hall '-P 3 2"'
_cell_length_a 4.2780
_cell_length_b 4.2780
_cell_length_c 9.2780
_cell_angle_alpha 90.00
_cell_angle_beta 90.00
_cell_angle_gamma 120.00
loop_
_atom_site_label
_atom_site_type_symbol
_atom_site_fract_x
_atom_site_fract_y
_atom_site_fract_z
Ac1 Ac 0.3333 0.6667 0.2111
H1 H 0.3333 0.6667 0.7549
Se1 Se 0.0000 0.0000 0.0000
I1 I 0.0000 0.0000 0.5000
```

For Dy4Er2Se9, a structure optimized by DFT (PBE) gives the theoretical powder diffraction line list in this record (copper Kα).

Top 10 peaks for 10° ≤ 2θ ≤ 90°, by angle:
hkl 1 1 2, 16.93°, I 422; hkl 1 1 -4, 23.23°, I 557; hkl 2 1 0, 24.81°, I 402; hkl 2 1 3, 28.43°, I 549; hkl 0 2 -4, 34.25°, I 353; hkl 1 2 6, 37.40°, I 1000; hkl 3 1 4, 42.75°, I 324; hkl 3 3 0, 43.68°, I 610; hkl 2 4 6, 58.83°, I 257; hkl 4 5 6, 76.07°, I 222

```
data_Dy4Er2Se9
_space_group_name_H-M_alt 'P -1'
_space_group_IT_number 2
_space_group_name_Hall '-P 1'
_cell_length_a 7.1763
_cell_length_b 7.1780
_cell_length_c 19.4363
_cell_angle_alpha 89.99
_cell_angle_beta 89.98
_cell_angle_gamma 60.03
loop_
_atom_site_label
_atom_site_type_symbol
_atom_site_fract_x
_atom_site_fract_y
_atom_site_fract_z
Dy1 Dy 0.1657 0.1669 0.1809
Dy2 Dy 0.1662 0.1667 0.9854
Dy3 Dy 0.1670 0.1665 0.4850
Dy4 Dy 0.1677 0.1663 0.6811
Er1 Er 0.4989 0.5014 0.1530
Er2 Er 0.4998 0.4990 0.3473
Se1 Se 0.1403 0.5293 0.4167
Se2 Se 0.1424 0.8296 0.9166
Se3 Se 0.1692 0.4721 0.0834
Se4 Se 0.1699 0.8594 0.5833
Se5 Se 0.1962 0.8041 0.2503
Se6 Se 0.1968 0.5002 0.7499
Se7 Se 0.4708 0.1713 0.5831
Se8 Se 0.4712 0.8591 0.0831
Se9 Se 0.4989 0.1967 0.2499
```